ICE Chief Defends Arrests As ‘Focused On Criminals,’ Advocates Disagree

By Bryan Pietsch

WASHINGTON – The acting director of Immigration and Customs Enforcement defended his agency recently against charges of racism, saying at a Washington event that 89 percent of those arrested last year by ICE have a criminal history.

“The reality is, we are focused on the criminals,” Thomas Homan said at the event hosted last week by the Center for Immigration Studies.

“They want to call us racists, they want call us Nazis. You can not like what we do, but don’t vilify the men and women that took an oath … simply doing their job,” he said.

Advocates were quick to call out Homan, noting that many of those he includes in his numbers were convicted of minor crimes.

'''
Record 1
MgFeCu2SnS4 | GGA-PBE | relaxed

abc: 5.474 5.423 6.172
angles: 90.00 90.58 90.00
Atoms (fractional coordinates):
Mg1 0.000 0.000 0.000
Fe1 0.500 0.001 0.000
Cu1 0.000 0.501 0.000
Cu2 0.500 0.500 0.500
Sn1 0.000 0.005 0.500
S1 0.278 0.727 0.781
S2 0.282 0.274 0.217
S3 0.718 0.274 0.783
S4 0.722 0.727 0.219

distance to the lowest polymorph of the same formula: 0.030 eV per atom

Record 2
Ta6Cr3Cu3C2 | GGA-PBE | relaxed

abc: 8.131 8.131 8.131
angles: 120.47 119.62 89.92
Atoms (fractional coordinates):
Ta1 0.000 0.000 0.000
Ta2 0.001 0.004 0.618
Ta3 0.001 0.383 0.997
Ta4 0.248 0.137 0.501
Ta5 0.248 0.747 0.110
Ta6 0.251 0.751 0.500
Ta7 0.385 0.004 0.003
Ta8 0.385 0.383 0.382
Ta9 0.385 0.385 0.000
Ta10 0.636 0.137 0.890
Ta11 0.636 0.747 0.499
Ta12 0.637 0.137 0.500
Cr1 0.022 0.369 0.653
Cr2 0.316 0.563 0.753
Cr3 0.716 0.369 0.347
Cr4 0.809 0.563 0.247
Cr5 0.817 0.084 0.267
Cr6 0.817 0.551 0.733
Cu1 0.027 0.364 0.337
Cu2 0.027 0.690 0.663
Cu3 0.611 0.448 0.837
Cu4 0.611 0.774 0.163
Cu5 0.612 0.774 0.838
Cu6 0.937 0.774 0.162
C1 0.315 0.065 0.250
C2 0.317 0.067 0.750
C3 0.317 0.568 0.250
C4 0.816 0.065 0.750

Record 3
NaMg6Ni | GGA-PBE | relaxed

abc: 4.955 6.293 10.770
angles: 90.00 90.00 90.00
Atoms (fractional coordinates):
Mg1 0.000 0.758 0.078
Mg2 0.000 0.742 0.578
Mg3 0.000 0.258 0.578
Mg4 0.500 0.733 0.407
Mg5 0.000 0.000 0.334
Mg6 0.500 0.500 0.664
Mg7 0.000 0.242 0.078
Mg8 0.500 0.000 0.164
Mg9 0.000 0.500 0.834
Mg10 0.500 0.267 0.407
Mg11 0.500 0.767 0.907
Mg12 0.500 0.233 0.907
Ni1 0.000 0.000 0.863
Ni2 0.000 0.500 0.363
Na1 0.500 0.500 0.168
Na2 0.500 0.000 0.668

Record 4
Mg7Si4 | GGA-PBE | relaxed

abc: 5.144 6.045 14.591
angles: 101.86 90.64 99.50
Atoms (fractional coordinates):
Mg1 0.000 0.000 0.000
Mg2 0.007 0.508 0.963
Mg3 0.207 0.269 0.656
Mg4 0.264 0.733 0.431
Mg5 0.299 0.232 0.452
Mg6 0.470 0.243 0.889
Mg7 0.482 0.363 0.092
Mg8 0.517 0.856 0.113
Mg9 0.542 0.744 0.899
Mg10 0.658 0.032 0.713
Mg11 0.755 0.494 0.550
Mg12 0.767 0.906 0.310
Mg13 0.776 0.998 0.519
Mg14 0.808 0.403 0.332
Si1 0.083 0.930 0.825
Si2 0.133 0.593 0.761
Si3 0.258 0.833 0.603
Si4 0.317 0.142 0.275
Si5 0.328 0.562 0.276
Si6 0.641 0.533 0.732
Si7 0.961 0.205 0.147
Si8 0.971 0.616 0.146

distance to the lowest polymorph of the same formula: 0.271 eV per atom

Record 5
TbCdNi4 | GGA-PBE | relaxed

abc: 4.974 4.974 4.974
angles: 60.00 60.00 60.00
Atoms (fractional coordinates):
Tb1 0.000 0.000 0.000
Cd1 0.750 0.750 0.750
Ni1 0.376 0.376 0.376
Ni2 0.376 0.376 0.872
Ni3 0.376 0.872 0.376
Ni4 0.872 0.376 0.376

Record 6
HoCu5 | GGA-PBE | relaxed

abc: 5.014 5.014 4.073
angles: 90.00 90.00 120.00
Atoms (fractional coordinates):
Ho1 0.000 0.000 0.000
Cu1 0.000 0.500 0.500
Cu2 0.333 0.667 0.000
Cu3 0.500 0.000 0.500
Cu4 0.500 0.500 0.500
Cu5 0.667 0.333 0.000

Record 7
La2SnS5 | GGA-PBE | relaxed

abc: 7.946 11.368 4.044
angles: 90.00 90.00 90.00
Atoms (fractional coordinates):
La1 0.074 0.169 0.000
La2 0.426 0.669 0.000
La3 0.574 0.331 0.000
'''

“The ICE director is clearly lying to justify the fact that he is not targeting real, hardcore criminals,” said Rep. Ruben Gallego, D-Phoenix, when asked about Homan’s statement. “(He’s) just trying to create a mass-deportation force.”

Homan’s 89 percent statement came from an ICE report that said of the 143,470 people the agency arrested last year, 74 percent had one or more criminal convictions and another 15 percent faced criminal charges.

But the number of arrests last year was up from previous years – 110,104 in fiscal 2016 and 119,772 in fiscal 2017. And as the number of arrests have gone up, the percentage who had criminal convictions has gone down, falling from 85 percent in 2015 and 86 percent in 2016 to the 74 percent last year.

The percent of non-criminals deported also rose during President Donald Trump’s first year in office. In 2016, roughly 7 percent of people deported had not been convicted of a crime, a percentage that more than doubled to 16 percent in 2017.

And critics argue that even for those with criminal convictions, few were for the type of crime that people think of when Trump talks about deporting “bad hombres.”

The crimes range from traffic violations to homicide, and one immigrant may have more than one conviction by the time ICE catches up with them. But convictions for driving under the influence, drugs, immigration and traffic offenses were the most frequent, with 59,985 DUI convictions and 43,908 traffic convictions.

High-profile crimes like homicide were significantly less frequent, with the 1,531 convictions in 2017 accounting for just 1 percent of the total arrested.

Kevin Appleby, director of public policy at the Center for Migration Studies, said that putting crimes like traffic offenses and homicide on the same playing field hurts people who are “virtual Americans, except on paper.”

“They’re not threats to the community. They have jobs, families, and homes – they’re part of the American fabric,” Appleby said. “From a humanitarian perspective, they’re not committing a crime. But ICE may categorize them as such.”

But Jessica Vaughan, director of policy studies at the Center for Immigration Studies, said the severity of the crime doesn’t matter. Her organization advocates for stricter enforcement of immigration law, while Appleby’s center advocates for immigrant rights.

“The fact that there are more DUIs than murders is irrelevant as far as immigration enforcement is concerned,” Vaughan said.

“What they’re really being removed for is not the crime, it’s the fact that they’re in the country illegally,” she said. “Them committing the crime is what brought them to ICE’s attention and moved them to the top of the list for deportation.”

Vaughan’s comments are in line with ICE’s current policy, which doesn’t prioritize arresting criminals over non-criminals.

“As ICE leadership has made clear since early 2017, the agency will no longer exempt classes or categories of removable aliens from potential enforcement,” ICE public affairs officer Matthew Bourke said in an email. “All of those in violation of the immigration laws may be subject to immigration arrest, detention and – if found removable by final order – removal from the United States.”

Immigration advocates call that misguided, arguing that it makes more sense to prioritize the deportation of people with histories of serious crime – the people Trump famously called “bad hombres” – which was the policy under President Barack Obama’s administration.

“What makes the most sense is for ICE to go back to the policy of meaningful prioritization for serious crimes and felonies,” said Carlos Guevara, senior policy adviser at UnidosUS. “Focus on the quality of enforcement over the quantity.”

ICERuben GallegoThomas HomanTrump